Contents: When Do Rhode Island Reds Start Laying?
At What Age Do Rhode Island Reds Lay Eggs?
The average Rhode Island Red chicken typically begins laying brown eggs at around 18 to 20 weeks (a little less than 5 months),
although some begin at around 16 weeks old.
• The piece is interrupted by materials data:
Entry 1:
{"formula": "VOF3", "functional": "PBE with a Hubbard U", "state": "relaxed", "lattice": [[5.2922, 0.0000, 0.0000], [0.1047, 5.4985, 0.0000], [0.0121, 0.1924, 9.3285]], "species": ["O", "F", "F", "F", "F", "F", "O", "V", "V", "O", "F", "F", "F", "F", "F", "V", "V", "F", "F", "O"], "frac_coords": [[0.7222, 0.9477, 0.1253], [0.0862, 0.7612, 0.5964], [0.2023, 0.8068, 0.1190], [0.2795, 0.5389, 0.3838], [0.7205, 0.4611, 0.6162], [0.3906, 0.9922, 0.3440], [0.1983, 0.3014, 0.6278], [0.0000, 0.0000, 0.0000], [0.4317, 0.2295, 0.7495], [0.8017, 0.6986, 0.3722], [0.5587, 0.4930, 0.1598], [0.9174, 0.7393, 0.9026], [0.9138, 0.2388, 0.4036], [0.4413, 0.5070, 0.8402], [0.7977, 0.1932, 0.8810], [0.0000, 0.5000, 0.5000], [0.5683, 0.7705, 0.2505], [0.6094, 0.0078, 0.6560], [0.0826, 0.2607, 0.0974], [0.2778, 0.0523, 0.8747]], "sg": "P-1", "volume_a3_per_fu": 67.9, "e_form_ev_per_atom": -2.649}

---

Entry 2:
{"formula": "V3O4F2", "functional": "PBE with a Hubbard U", "state": "relaxed", "lattice": [[4.0918, -0.9813, 2.0205], [-1.7229, 6.2944, 6.5375], [-2.0684, -3.3011, 2.5873]], "species": ["O", "O", "O", "O", "F", "V", "O", "V", "V", "V", "O", "V", "F", "O", "V", "F", "F", "O"], "frac_coords": [[0.6935, 0.3316, 0.7007], [0.3030, 0.9947, 0.3032], [0.3175, 0.6718, 0.3153], [0.1972, 0.4947, 0.8030], [0.7078, 0.6724, 0.7032], [0.0224, 0.6587, 0.0302], [0.8081, 0.4953, 0.2009], [0.4981, 0.5021, 0.4929], [0.4774, 0.1588, 0.5298], [0.9728, 0.3446, 0.9569], [0.6917, 0.9953, 0.7015], [0.5275, 0.8446, 0.4573], [0.2132, 0.8286, 0.7961], [0.8065, 0.8317, 0.2014], [0.0016, 0.0021, 0.9933], [0.2863, 0.3287, 0.2958], [0.7925, 0.1724, 0.2033], [0.1826, 0.1719, 0.8153]], "e_above_lowest_polymorph_mev_per_atom": 0, "sg": "Pc", "volume_a3_per_fu": 100.8, "e_form_ev_per_atom": -2.716}

---

no.,size of the total moment (μB/cell)
1,0.0
2,0.0


VO2 | PBE+U | optimized geometry

Computed properties:
Space group: C2/m
Calculated formation energy, eV per atom: -2.4603

a = 6.4735 Å, b = 6.4735 Å, c = 6.4901 Å
α = 106.16°, β = 106.16°, γ = 33.64°
Element x y z (fractional)
1 V 0.1012 0.1012 0.1853
2 V 0.1962 0.1962 0.7756
3 V 0.8038 0.8038 0.2244
4 V 0.8988 0.8988 0.8147
5 O 0.0575 0.0575 0.8684
6 O 0.1391 0.1391 0.5042
7 O 0.2621 0.2621 0.1490
8 O 0.3653 0.3653 0.7992
9 O 0.6347 0.6347 0.2008
10 O 0.7379 0.7379 0.8510
11 O 0.8609 0.8609 0.4958
12 O 0.9425 0.9425 0.1316


Entry 1:
First-principles (PBE) data for a geometry-optimized AcPr3 structure, as listed in the Materials Project.

Computed properties:
Space group: I4/mmm (139)
Volume: 38.14 Å³ per atom
Uncorrected energy: -18.34 eV/cell

```
AcPr3
1.0
4.8926 -4.3137 0.6074
2.0535 -0.1377 6.2193
-5.9706 -0.4994 -2.6490
Pr Ac
3 1
direct
0.2500 0.7500 0.5000
0.7500 0.2500 0.5000
0.5000 0.5000 0.0000
0.0000 0.0000 0.0000
```

Entry 2:
First-principles (PBE) data for a geometry-optimized TbFe6Co5W structure, as listed in the Materials Project.

Computed properties:
Space group: Imm2 (44)
Volume: 12.33 Å³ per atom
However, they don’t lay 4 to 6 eggs a week right away. You probably won’t find them laying regularly until they’re about 30 weeks old.
It’s common for these backyard chickens to lay large eggs in their first year.
And, in the following years, Rhode Island Reds are known to lay double-yoked eggs at times.
Will Rhode Island Reds Lay Eggs in Winter?
As the weather gets colder, egg production typically slows down in winter. Egg-laying is largely dependent on daylight hours, and most layers slow down or stop producing eggs when they receive fewer than 12 hours of daylight per day.
Fortunately, Rhode Island Red hens are hardy birds that withstand cold weather and lay eggs almost every day, or at least every 2 days, throughout the year.
With the proper care, you can enjoy fresh eggs from your Rhode Island Reds all winter long. So make sure they have a consistent source of food and water and that their coop is well-ventilated but protected from drafts.
Do Rhode Island Reds Lay Eggs All Year?
Not quite. Rhode Island Reds do have a molting period in the fall when they will slow down or stop egg-laying for several weeks.
Molting is the process by which a chicken grows new feathers. Every chicken will molt each year and it can take between 6 and 16 weeks to grow back new feathers. During this time, hens may stop laying eggs altogether because molting is very physically demanding.
This can be frustrating for chicken owners who are counting on their birds to produce eggs on a regular basis. But, be patient! Molting is a natural process that all chickens go through.
The only way you can help your molting chickens is by reducing their stress (no changes to their routines), and providing them with a diet that’s higher in protein. You can switch their feed to something that contains 20 to 24% protein, like a gamebird feed (Amazon), while they’re molting.
Why Are My Rhode Island Reds Not Laying?
If your Rhode Island Reds are over 24 weeks old and they’re still not laying eggs, look into these possible reasons:
Diet: The biggest contributor to great egg production is feeding pullets a good-quality layer feed (Amazon) once they reach 18 weeks or once they lay their first egg, whichever comes first. It’s also essential that you feed young chicks a great diet too so they can develop into strong, healthy hens in the future.
Warning: Chickens Need Grit!
If your chickens eat anything but commercial poultry feed, then you must feed them grit. Grit is essential because it helps them grind up their food and aids in digestion.
There’s poultry grit (Amazon) for chickens that are older than 8 weeks and smaller grit for chicks (Amazon) who are 2 to 8 weeks old.
For more information on this topic, check out my post: Do Chickens Need Oyster Shells and Grit?
Water: Chickens need clean water throughout the day, especially when they’re eating. Without fresh water, egg-laying may drastically decrease or stop.
A hen may require 24 hours to recover if she goes without water for just a day. She might need 2 or 3 weeks to recover if she goes without water for just 36 hours.
She may also experience a molt after being without water for 2 days, followed by a significant period of poor laying (from which she might not recover).
Oyster Shells: You might also want to offer your layers some crushed oyster shells (Amazon) on the side, in a separate dish. Oyster shells will provide calcium, which is necessary for the formation of strong eggshells. For more information about oyster shells, read my post: Do Chickens Need Oyster Shells and Grit?
Broody Hen: If you have a broody hen, she won’t lay eggs no matter if she has the best diet or enough sunlight.
Stress: Chickens love routine and the smallest disturbance to their routine usually hinders egg production. Stress comes in many forms, such as new flock members, moving locations, predators, overcrowding, aggressive hens, loud noises, too much heat or cold, poor nutrition, and illness.
How Do I Know When Rhode Island Reds Are Ready To Lay Eggs?
Here’s an easy way to know if your Rhode Island Reds are ready to lay eggs.
All you have to do is put your hand lightly on their back. If your hens continue walking around and don’t squat very low to the ground with their wings stretched out for balance, they are not ready to lay eggs.
If they do stop walking to squat, this means that their reproductive organs are fully developed and they would be ready and willing to mate with a rooster. This squatting behavior is a very good sign that they’re about to lay eggs.
A hen will crouch when a cock places his foot on a hen’s back to prepare for mating.
Conclusion: When Will My Rhode Island Reds Start Laying?
Rhode Island Reds are a great choice for backyard chicken keepers looking for good egg production. They are also a good choice for those wanting a dual-purpose chicken, as they can be used for both meat and eggs.
So, to answer the original question, Rhode Island Reds will generally start to lay anywhere from 18 to 20 weeks.
If your chickens haven’t started laying eggs yet, and you followed the tips in this post, the final step might be to just be patient. It’s common for some chickens to take longer than others to lay their first egg.